I am trying to build a parser but I can't seem to understand how it works. I need help with someone pointing me in the right direction so I can pick it up from there.
SO I have a tokenizer and a lexer.
Tokenizer output:
Lexer Output:
Now I have to build a parser. I don't get how to start and how to include parameterized constructs.
My rules are to be something like this.
program --> functionList.
functionList --> function,functionListCollection.
functionListCollection --> functionList | [].
function --> typeID(typeIdList),[=],expression.
typeID --> [int],[id] | [bool],[id].
typeIdList --> typeID,typeIdListCollection.
typeIdListCollection --> [,], typeIdList | [].
expression --> [if], comparison, [then], value, [else], value.
expression --> [let],[id],[=], value, [in], expression.
expression --> value, extraExpression.
extraExpression --> arithmetic | [].
arithmetic --> [+], value | [-], value.
comparison --> value, comparisonRight.
comparisonRight --> [=],[=],value.
comparisonRight --> [!], [=], value.
comparisonRight --> [>], value.
comparisonRight --> [>], [=], value.
value --> [number].
value --> [id], valueParameters.
valueParameters --> [(],parameters,[)]. | [].
parameters --> value, parametersList.
parametersList --> [,], parameters | [].
I am looking a build a predicate that takes the lexed list and gives the list out of the parser. I will then replace the numbers and identifiers by looking at the token list. Some help on how to start would be much appreciated. Thank you.
your 'Lexer Output' seems not only useless, but actually dangerous. It (arbitrarly?) renames important symbols (like int
) that are already part of the parser (btw, tokenizer and lexer are synonyms afaik). So, just feed your DCG (once corrected, see below) with tokenizer output:
tokens_test :-
Tokens = [
% ...more source code to test - but please use writeq to show it ...
], phrase(program, Tokens).
?- tokens_test.
I changed your DCG, since you had [id] and [number] as terminals:
id --> [I], {atom(I)}.
number --> [N], {number(N)}.
program --> functionList.
functionList --> function,functionListCollection.
functionListCollection --> functionList | [].
function --> typeID,[=],expression.
typeID --> [int],id | [bool],id.
typeIdList --> typeID,typeIdListCollection.
typeIdListCollection --> [,], typeIdList | [].
expression --> [if], comparison, [then], value, [else], value.
expression --> [let], id, [=], value, [in], expression.
expression --> value, extraExpression.
extraExpression --> arithmetic | [].
arithmetic --> [+], value | [-], value.
-- Attached: data records --
-- begin --
Diffraction record for KLi2MnPCO7. The X-ray powder pattern is theoretical, not measured: it uses the PBE+U geometry in Alexandria and Cu Kα (λ = 1.5418 Å).

Atomic structure:
```
data_KLi2MnPCO7
_chemical_formula_sum 'K2 Li4 Mn2 P2 C2 O14'
_symmetry_space_group_name_H-M 'P 1'
_symmetry_Int_Tables_number 1
_cell_length_a 5.477
_cell_length_b 6.856
_cell_length_c 8.977
_cell_angle_alpha 90.00
_cell_angle_beta 95.78
_cell_angle_gamma 90.00
loop_
_symmetry_equiv_pos_as_xyz
'x,y,z'
loop_
_atom_site_label
_atom_site_type_symbol
_atom_site_fract_x
_atom_site_fract_y
_atom_site_fract_z
K1 K 0.201 0.000 0.221
K2 K 0.799 0.500 0.779
Li1 Li 0.219 0.458 0.201
Li2 Li 0.315 0.101 0.849
Li3 Li 0.685 0.601 0.151
Li4 Li 0.781 0.958 0.799
Mn1 Mn 0.223 0.803 0.615
Mn2 Mn 0.777 0.303 0.385
P1 P 0.293 0.312 0.565
P2 P 0.707 0.812 0.435
C1 C 0.309 0.781 0.942
C2 C 0.691 0.281 0.058
O1 O 0.099 0.874 0.923
O2 O 0.170 0.319 0.400
O3 O 0.202 0.128 0.647
O4 O 0.224 0.493 0.655
O5 O 0.367 0.677 0.059
O6 O 0.425 0.799 0.436
O7 O 0.462 0.806 0.840
O8 O 0.538 0.306 0.160
O9 O 0.575 0.299 0.564
O10 O 0.633 0.177 0.941
O11 O 0.776 0.993 0.345
O12 O 0.798 0.628 0.353
O13 O 0.830 0.819 0.600
O14 O 0.901 0.374 0.077
```

Principal peaks in the range 5° ≤ 2θ ≤ 70°, in order of rising 2θ:
d (Å)	intensity	(hkl)
8.931	100	0 0 1
5.439	25	0 1 1
4.266	31	1 1 0
3.428	34	0 2 0
3.295	38	1 0 2
2.727	58	2 0 0
2.719	45	0 2 2
2.536	27	1 1 -3

* * * * *

Record 1
Starting from the PBE geometry in Alexandria, the PXRD pattern of ThSn2Ge2Pt7 was calculated for Cu Kα, 1.54184 Å.
No peak broadening, texture or thermal motion is included.

The 6 most intense peaks (5° ≤ 2θ ≤ 70°), by intensity:
- 2θ = 5.58°, d 15.835, I 100
- 2θ = 36.08°, d 2.489, I 64
- 2θ = 45.44°, d 1.996, I 47
- 2θ = 42.92°, d 2.107, I 35
- 2θ = 33.71°, d 2.659, I 28
- 2θ = 39.20°, d 2.298, I 27

```
ThSn2Ge2Pt7
1.0
2.823 -2.822 0.000
2.823 2.822 0.000
-2.801 0.000 15.835
Th Sn Ge Pt
1 2 2 7
direct
0.000 0.000 0.000
0.213 0.213 0.427
0.787 0.787 0.573
0.379 0.379 0.757
0.621 0.621 0.243
0.072 0.572 0.145
0.301 0.301 0.602
0.428 0.928 0.855
0.500 0.500 0.000
0.572 0.072 0.145
0.699 0.699 0.398
0.928 0.428 0.855
```

***

Record 2
Starting from the PBE geometry in Alexandria, the PXRD pattern of Y12Ni6Hg was calculated for Cu Kα, 1.54184 Å.
No peak broadening, texture or thermal motion is included.

The 6 most intense peaks (5° ≤ 2θ ≤ 70°), by intensity:
- 2θ = 34.53°, d 2.598, I 100
- 2θ = 31.89°, d 2.806, I 37
- 2θ = 47.71°, d 1.906, I 28
- 2θ = 58.54°, d 1.577, I 28
- 2θ = 55.09°, d 1.667, I 21
- 2θ = 29.05°, d 3.074, I 21

```
Y12Ni6Hg
1.0
-4.860 4.860 4.860
4.860 -4.860 4.860
4.860 4.860 -4.860
Y Ni Hg
12 6 1
direct
0.115 0.301 0.813
0.187 0.488 0.301
0.187 0.885 0.699
0.301 0.187 0.488
0.301 0.813 0.115
0.488 0.301 0.187
0.512 0.699 0.813
0.699 0.187 0.885
0.699 0.813 0.512
0.813 0.115 0.301
0.813 0.512 0.699
0.885 0.699 0.187
0.123 0.500 0.623
0.377 0.877 0.500
0.500 0.377 0.877
0.500 0.623 0.123
0.623 0.123 0.500
-- stop --
comparison --> value, comparisonRight.
comparisonRight --> [=],[=],value.
comparisonRight --> [!], [=], value.
comparisonRight --> [>], value.
comparisonRight --> [>], [=], value.
value --> number.
value --> id, valueParameters.
valueParameters --> ['('],parameters,[')'] | [].
parameters --> value, parametersList.
parametersList --> [,], parameters | [].
Where you have a separator (the comma, below), you can avoid service predicates like
typeIdList --> typeID,typeIdListCollection.
typeIdListCollection --> [,], typeIdList | [].
that could be
typeIdList --> typeID, ( [,], typeIdList | [] ).
but the convenience of this 'simplification' could depends on other factors.
how to include parameterized constructs
id//0 and number//0 are non terminals that should 'get back' their value: they become id//1 and number//1, and conventionally, we used to 'tag' the value with the non terminal (so we spare symbols :-)
id(id(I)) --> [I], % better to filter out keywords here...
{atom(I), \+memberchk(I,[let, etc etc])}.
number(number(N,integer)) --> [N], {integer(N)}.
number(number(N,float)) --> [N], {float(N)}.
now where they are called, we must change to
typeID --> [int],id(_) | [bool],id(_).
it's obvious that typeID//0 now should 'get back' the values (so called semantic attributes), otherwise they are lost:
typeID(typeID(T,I)) --> [int],id(I),{T=int} | [bool],id(I),{T=bool}.
that shows a better way to write typeID//1. Could be
typeID(typeID(T,I)) --> type(T),id(I).
type(int) --> [int].
type(bool) --> [bool].
Hope you get the picture :-)